**Wanted:**
Next, echo the calculation results further down unchanged.
**Input:**
/*
1.
Computed, not measured: C13H44AgF12N20O21S4 as an isolated structure in a non-equilibrium geometry, with the ωB97M-V functional and the def2-TZVPD basis.

Geometry as XYZ:
```
115
Properties=species:S:1:pos:R:3
Ag 2.11556 -0.77233 2.84566
C 5.76545 -0.16543 0.92845
F 7.04843 -0.24215 0.62636
F 5.36059 1.07684 0.93596
F 5.07331 -0.89022 0.05832
S 5.53501 -1.02529 2.62772
O 5.20563 -2.39376 2.34228
O 6.72868 -0.85659 3.39692
N 4.19345 -0.15771 3.25560
S 4.64397 1.21424 4.01921
O 5.89083 1.80052 3.65241
O 3.51603 2.10976 4.02868
C 4.79961 0.61810 5.80040
F 5.41896 1.55398 6.50173
F 3.59614 0.37543 6.28709
F 5.54467 -0.48557 5.85197
C 2.18282 -0.97986 -1.61134
F 2.76683 -2.11121 -1.18060
F 3.09233 -0.03345 -1.60258
F 1.66389 -1.21666 -2.78930
S 0.74397 -0.62053 -0.44026
O -0.21561 0.12248 -1.19339
O 0.41226 -1.94484 0.04129
N 1.47471 0.15579 0.92070
S 1.07224 1.68762 0.81578
O 1.77730 2.32334 1.89801
O 1.31741 2.31517 -0.46537
C -0.78974 1.75879 1.20988
F -1.27629 0.55895 1.45839
F -0.91625 2.55281 2.26577
F -1.44046 2.32023 0.20487
O 0.44690 3.30075 -3.06076
H 0.90908 3.14033 -2.22686
H 0.97322 2.85240 -3.73240
O -1.29447 0.68629 -4.45154
H -1.16630 -0.24492 -4.18273
H -0.84122 1.19999 -3.76899
O 0.03557 -1.74713 3.01016
H 0.12612 -2.63019 3.38781
H -0.58674 -1.85072 2.26127
O 2.93126 4.70193 2.96437
H 3.00496 3.78154 2.68105
H 2.39060 4.65503 3.75679
C 2.04252 -1.82487 -6.41801
O 2.34565 -2.43257 -5.39735
N 1.04974 -0.88073 -6.45086
N 2.79169 -1.91896 -7.56536
H 0.66326 -0.65339 -7.35088
H 0.41857 -0.78563 -5.67106
H 3.30738 -2.78176 -7.59294
H 2.51725 -1.41409 -8.38586
C -4.09549 -1.14743 4.98060
O -4.64814 -0.69083 5.96712
N -3.85508 -0.49298 3.82005
N -3.80046 -2.51694 4.91424
H -4.08840 0.48416 3.76041
H -3.45903 -0.98799 3.02471
H -3.07381 -2.79679 4.27664
H -3.82617 -2.94159 5.82637
C -3.45332 3.28852 -2.66238
O -4.37281 3.73710 -1.96330
N -2.14459 3.50220 -2.35006
N -3.70060 2.47609 -3.71562
H -1.42529 3.45009 -3.06488
H -2.01423 4.11414 -1.56554
H -2.99071 1.96368 -4.22217
H -4.66168 2.21384 -3.83553
C -4.52601 -0.98625 -1.03843
O -5.49741 -1.73287 -1.04193
N -4.19533 -0.19068 0.01369
N -3.67039 -0.80555 -2.09716
H -3.29393 0.24661 0.06481
H -4.69564 -0.20733 0.88684
H -2.98006 -0.08404 -1.97945
H -3.97781 -1.03678 -3.02362
C -2.83830 -3.18187 1.41766
O -2.50903 -2.05743 1.82412
N -1.94454 -4.00302 0.79657
N -4.10193 -3.63849 1.53627
H -2.29040 -4.89132 0.48843
H -0.99253 -3.70826 0.68470
H -4.44057 -4.50616 1.17038
H -4.69037 -3.08144 2.13704
C 2.71248 -4.00744 1.72737
O 2.67073 -2.84301 2.15474
N 1.78377 -4.44790 0.82824
N 3.72436 -4.82779 2.05540
H 1.95457 -5.33376 0.38663
H 1.34925 -3.68732 0.31970
H 4.48565 -4.54065 2.64350
H 3.80634 -5.67119 1.51596
C -1.07774 -2.99940 -3.16339
O -1.18617 -1.82452 -3.49162
N -2.08826 -3.60406 -2.46727
N -0.02126 -3.79733 -3.49009
H -2.78489 -2.93784 -2.15617
H -2.08692 -4.58035 -2.25977
H -0.03337 -4.79408 -3.40776
H 0.57476 -3.34006 -4.17255
C 3.47183 5.50051 -1.12357
O 3.68904 4.96567 -2.20651
N 3.69995 6.81438 -0.82479
N 3.06251 4.71864 -0.06293
H 4.33262 7.34418 -1.39064
H 3.24683 7.18178 -0.01088
H 2.68871 3.84875 -0.40421
H 2.88585 5.07163 0.86490
C -5.31101 2.59626 1.35238
O -5.19557 1.58229 2.03705
N -6.54977 3.07129 1.00618
N -4.27577 3.35347 0.90154
H -6.61774 3.95819 0.54844
H -7.31245 2.51585 1.34442
H -4.33704 4.06445 0.19571
H -3.37402 3.05721 1.22294
```

Orbital gap (spin up / spin down)   8.336 / 3.781 eV
Total energy   -166950.6021 eV
Multiplicity   2

---

2.
Computed, not measured: a 9-piece molecular cluster, C13H44O13 overall in a non-equilibrium geometry, with the ωB97M-V functional and the def2-TZVPD basis.

Geometry as XYZ:
```
70
Properties=species:S:1:pos:R:3
O 2.22013 -1.45993 2.24879
C 3.00371 -0.58813 3.04760
C 2.38305 0.81216 3.11876
O 3.28150 1.72754 3.69640
H 1.64141 -2.02676 2.75400
H 3.09505 -1.11304 4.00780
H 4.00438 -0.45397 2.61941
H 1.44081 0.76218 3.71965
H 2.09976 1.20644 2.14736
H 3.61500 1.29560 4.46609
O -1.39758 -0.81198 -2.74387
*/
**Result:**
1.
Computed, not measured: C13H44AgF12N20O21S4 as an isolated structure in a non-equilibrium geometry, with the ωB97M-V functional and the def2-TZVPD basis.

Geometry as XYZ:
```
115
Properties=species:S:1:pos:R:3
Ag 2.11556 -0.77233 2.84566
C 5.76545 -0.16543 0.92845
F 7.04843 -0.24215 0.62636
F 5.36059 1.07684 0.93596
F 5.07331 -0.89022 0.05832
S 5.53501 -1.02529 2.62772
O 5.20563 -2.39376 2.34228
O 6.72868 -0.85659 3.39692
N 4.19345 -0.15771 3.25560
S 4.64397 1.21424 4.01921
O 5.89083 1.80052 3.65241
O 3.51603 2.10976 4.02868
C 4.79961 0.61810 5.80040
F 5.41896 1.55398 6.50173
F 3.59614 0.37543 6.28709
F 5.54467 -0.48557 5.85197
C 2.18282 -0.97986 -1.61134
F 2.76683 -2.11121 -1.18060
F 3.09233 -0.03345 -1.60258
F 1.66389 -1.21666 -2.78930
S 0.74397 -0.62053 -0.44026
O -0.21561 0.12248 -1.19339
O 0.41226 -1.94484 0.04129
N 1.47471 0.15579 0.92070
S 1.07224 1.68762 0.81578
O 1.77730 2.32334 1.89801
O 1.31741 2.31517 -0.46537
C -0.78974 1.75879 1.20988
F -1.27629 0.55895 1.45839
F -0.91625 2.55281 2.26577
F -1.44046 2.32023 0.20487
O 0.44690 3.30075 -3.06076
H 0.90908 3.14033 -2.22686
H 0.97322 2.85240 -3.73240
O -1.29447 0.68629 -4.45154
H -1.16630 -0.24492 -4.18273
H -0.84122 1.19999 -3.76899
O 0.03557 -1.74713 3.01016
H 0.12612 -2.63019 3.38781
H -0.58674 -1.85072 2.26127
O 2.93126 4.70193 2.96437
H 3.00496 3.78154 2.68105
H 2.39060 4.65503 3.75679
C 2.04252 -1.82487 -6.41801
O 2.34565 -2.43257 -5.39735
N 1.04974 -0.88073 -6.45086
N 2.79169 -1.91896 -7.56536
H 0.66326 -0.65339 -7.35088
H 0.41857 -0.78563 -5.67106
H 3.30738 -2.78176 -7.59294
H 2.51725 -1.41409 -8.38586
C -4.09549 -1.14743 4.98060
O -4.64814 -0.69083 5.96712
N -3.85508 -0.49298 3.82005
N -3.80046 -2.51694 4.91424
H -4.08840 0.48416 3.76041
H -3.45903 -0.98799 3.02471
H -3.07381 -2.79679 4.27664
H -3.82617 -2.94159 5.82637
C -3.45332 3.28852 -2.66238
O -4.37281 3.73710 -1.96330
N -2.14459 3.50220 -2.35006
N -3.70060 2.47609 -3.71562
H -1.42529 3.45009 -3.06488
H -2.01423 4.11414 -1.56554
H -2.99071 1.96368 -4.22217
H -4.66168 2.21384 -3.83553
C -4.52601 -0.98625 -1.03843
O -5.49741 -1.73287 -1.04193
N -4.19533 -0.19068 0.01369
N -3.67039 -0.80555 -2.09716
H -3.29393 0.24661 0.06481
H -4.69564 -0.20733 0.88684
H -2.98006 -0.08404 -1.97945
H -3.97781 -1.03678 -3.02362
C -2.83830 -3.18187 1.41766
O -2.50903 -2.05743 1.82412
N -1.94454 -4.00302 0.79657
N -4.10193 -3.63849 1.53627
H -2.29040 -4.89132 0.48843
H -0.99253 -3.70826 0.68470
H -4.44057 -4.50616 1.17038
H -4.69037 -3.08144 2.13704
C 2.71248 -4.00744 1.72737
O 2.67073 -2.84301 2.15474
N 1.78377 -4.44790 0.82824
N 3.72436 -4.82779 2.05540
H 1.95457 -5.33376 0.38663
H 1.34925 -3.68732 0.31970
H 4.48565 -4.54065 2.64350
H 3.80634 -5.67119 1.51596
C -1.07774 -2.99940 -3.16339
O -1.18617 -1.82452 -3.49162
N -2.08826 -3.60406 -2.46727
N -0.02126 -3.79733 -3.49009
H -2.78489 -2.93784 -2.15617
H -2.08692 -4.58035 -2.25977
H -0.03337 -4.79408 -3.40776
H 0.57476 -3.34006 -4.17255
C 3.47183 5.50051 -1.12357
O 3.68904 4.96567 -2.20651
N 3.69995 6.81438 -0.82479
N 3.06251 4.71864 -0.06293
H 4.33262 7.34418 -1.39064
H 3.24683 7.18178 -0.01088
H 2.68871 3.84875 -0.40421
H 2.88585 5.07163 0.86490
C -5.31101 2.59626 1.35238
O -5.19557 1.58229 2.03705
N -6.54977 3.07129 1.00618
N -4.27577 3.35347 0.90154
H -6.61774 3.95819 0.54844
H -7.31245 2.51585 1.34442
H -4.33704 4.06445 0.19571
H -3.37402 3.05721 1.22294
```

Orbital gap (spin up / spin down)   8.336 / 3.781 eV
Total energy   -166950.6021 eV
Multiplicity   2

---

2.
Computed, not measured: a 9-piece molecular cluster, C13H44O13 overall in a non-equilibrium geometry, with the ωB97M-V functional and the def2-TZVPD basis.

Geometry as XYZ:
```
70
Properties=species:S:1:pos:R:3
O 2.22013 -1.45993 2.24879
C 3.00371 -0.58813 3.04760
C 2.38305 0.81216 3.11876
O 3.28150 1.72754 3.69640
H 1.64141 -2.02676 2.75400
H 3.09505 -1.11304 4.00780
H 4.00438 -0.45397 2.61941
H 1.44081 0.76218 3.71965
H 2.09976 1.20644 2.14736
H 3.61500 1.29560 4.46609
O -1.39758 -0.81198 -2.74387